Entries
Here is a 2-piece molecular cluster, C3H11N2PS overall in a non-equilibrium geometry from the OMol25 dataset. Energies are from wB97M-V/def2-TZVPD.

Spin multiplicity: 1
Frontier orbital gap, eV: 9.1944
E_HOMO, eV: -9.15

```
18
Properties=species:S:1:pos:R:3:forces:R:3
C -2.4208 -1.2299 0.8789 -0.238 0.271 -1.676
C -0.4074 -0.3528 2.2480 -0.931 2.978 0.243
C -0.8737 -1.2876 1.2246 -0.613 -3.558 -3.264
N -0.0762 0.7225 -0.4246 0.415 -2.368 -0.181
N 3.0286 -0.3478 3.1860 -1.975 0.075 0.040
P 0.0525 -0.8785 -0.4341 -0.643 2.484 0.047
S 0.7699 -2.0322 -1.8222 -0.530 0.321 1.093
H -2.8457 -2.1414 0.3197 0.975 1.290 0.819
H -2.9612 -1.1253 1.7967 -0.276 -0.256 0.769
H -2.7490 -0.2991 0.2921 0.901 -1.250 0.659
H 0.1769 -0.7459 3.0537 0.299 -0.419 0.260
H -1.3370 0.1764 2.6501 1.359 -0.543 -0.200
H 0.1608 0.4206 1.6657 -0.416 -0.337 1.358
H -0.6111 -2.3943 1.3456 -0.322 1.474 0.318
H 0.3575 1.1923 -1.2102 0.026 -0.075 -0.231
H 2.9278 -0.7040 4.1272 -0.074 0.385 0.010
H 3.9652 -0.3442 2.9490 2.320 -0.274 -0.515
H 2.7299 0.6160 3.0818 -0.277 -0.197 0.450
```
Positions in Å, forces in eV/Å.


Here is a 2-piece molecular cluster, C3H11N2S overall in a non-equilibrium geometry from the OMol25 dataset. Energies are from wB97M-V/def2-TZVPD.

Spin multiplicity: 1
Total charge: -1
Frontier orbital gap, eV: 6.7294
E_HOMO, eV: -2.66

```
17
Properties=species:S:1:pos:R:3:forces:R:3
C 3.6073 0.8276 -0.5906 -0.431 -0.593 -0.171
N 2.8131 -0.3524 -0.2157 0.056 0.023 -0.534
H 3.5300 1.0624 -1.6582 -0.059 0.263 -0.039
H 4.6645 0.6595 -0.3907 0.104 0.116 0.287
H 3.2050 1.6510 -0.0103 0.263 0.302 0.004
H 1.8316 -0.1088 -0.4046 -0.125 0.063 0.521
H 2.9855 -1.0746 -0.9060 0.209 -0.227 0.051
C -2.5276 -0.6082 0.6909 -0.731 0.275 0.746
C -1.2644 0.0981 1.1463 0.559 0.713 -0.888
S -0.3815 0.8757 -0.3066 -0.207 -0.197 0.185
N -2.2166 -1.6293 -0.2837 0.140 -0.368 0.010
H -3.2340 0.1681 0.3520 0.201 0.021 -0.382
H -3.0678 -1.0574 1.5428 0.329 -0.181 0.047
H -0.5738 -0.5678 1.6627 -0.092 -0.159 0.060
H -1.4975 0.9501 1.7818 -0.232 -0.221 0.328
H -1.5858 -1.1871 -0.9464 0.093 0.012 -0.203
H -3.0313 -1.9748 -0.7715 -0.077 0.160 -0.024
```
Positions in Å, forces in eV/Å.


Here is a 2-piece molecular cluster, C3H11N2S overall in a non-equilibrium geometry from the OMol25 dataset. Energies are from wB97M-V/def2-TZVPD.

Spin multiplicity: 2
Frontier orbital gap (spin up / spin down), eV: 4.7868 / 9.6602
E_HOMO (spin up / spin down), eV: -3.86 / -8.88

```
17
Properties=species:S:1:pos:R:3:forces:R:3
C -3.6273 -0.7283 -0.9787 -1.216 -1.191 1.251
C -2.1677 -1.1197 -1.2197 -0.036 1.579 -1.557
S -1.3766 -1.1143 0.3912 0.523 0.130 -0.170
H -3.6985 0.3029 -0.5849 0.111 -0.439 -0.370
H -4.1052 -1.3977 -0.1356 0.919 1.103 -1.630
H -4.2704 -0.8357 -1.8747 0.448 0.120 0.443
H -1.9899 -2.0502 -1.7237 -0.530 -0.886 0.150
H -1.7187 -0.4137 -2.0105 -0.410 -0.399 1.612
H -0.1451 -1.2474 -0.1133 0.199 0.002 0.285
N 3.7143 0.5219 0.7798 2.925 -4.384 0.140
C 2.9096 1.5946 0.8770 2.739 -0.330 3.656
N 2.0912 2.0699 -0.0091 -4.022 1.505 -4.734
H 3.9070 -0.0849 -0.0368 -0.633 1.195 0.733
H 4.1527 0.0821 1.6475 -1.298 1.201 -1.748
H 2.9700 2.0310 1.8470 -0.290 0.621 0.252
H 1.6223 2.8923 0.2988 -0.371 0.289 -0.089
H 1.9742 1.9286 -1.0392 0.942 -0.115 1.777
```
Positions in Å, forces in eV/Å.


Here is a 2-piece molecular cluster, C3H11N2S overall in a non-equilibrium geometry from the OMol25 dataset. Energies are from wB97M-V/def2-TZVPD.

Spin multiplicity: 1
Total charge: +1
Frontier orbital gap, eV: 8.6694
E_HOMO, eV: -12.43

```
17
Properties=species:S:1:pos:R:3:forces:R:3
C -0.7134 -0.6260 1.6183 1.578 -1.862 -2.770
C 0.2423 0.5017 2.0620 -0.268 -2.686 -1.135
C 0.6200 1.0819 -0.3423 1.449 5.010 0.527
N 0.9380 2.0031 -1.2768 -0.079 -0.442 -0.856
N 0.6651 1.3559 0.9423 1.146 -0.224 -1.116
S -0.5189 -2.8203 -3.0198 -0.425 -0.964 -0.184
H -0.2271 -1.6368 1.5556 0.102 0.976 0.290
H -1.4897 -0.7929 2.2733 -1.687 0.097 1.730
H -1.1881 -0.6328 0.6041 0.310 0.905 0.724
Request
Could you reproduce everything further up character by character?
Here it is
Here is a 2-piece molecular cluster, C3H11N2PS overall in a non-equilibrium geometry from the OMol25 dataset. Energies are from wB97M-V/def2-TZVPD.

Spin multiplicity: 1
Frontier orbital gap, eV: 9.1944
E_HOMO, eV: -9.15

```
18
Properties=species:S:1:pos:R:3:forces:R:3
C -2.4208 -1.2299 0.8789 -0.238 0.271 -1.676
C -0.4074 -0.3528 2.2480 -0.931 2.978 0.243
C -0.8737 -1.2876 1.2246 -0.613 -3.558 -3.264
N -0.0762 0.7225 -0.4246 0.415 -2.368 -0.181
N 3.0286 -0.3478 3.1860 -1.975 0.075 0.040
P 0.0525 -0.8785 -0.4341 -0.643 2.484 0.047
S 0.7699 -2.0322 -1.8222 -0.530 0.321 1.093
H -2.8457 -2.1414 0.3197 0.975 1.290 0.819
H -2.9612 -1.1253 1.7967 -0.276 -0.256 0.769
H -2.7490 -0.2991 0.2921 0.901 -1.250 0.659
H 0.1769 -0.7459 3.0537 0.299 -0.419 0.260
H -1.3370 0.1764 2.6501 1.359 -0.543 -0.200
H 0.1608 0.4206 1.6657 -0.416 -0.337 1.358
H -0.6111 -2.3943 1.3456 -0.322 1.474 0.318
H 0.3575 1.1923 -1.2102 0.026 -0.075 -0.231
H 2.9278 -0.7040 4.1272 -0.074 0.385 0.010
H 3.9652 -0.3442 2.9490 2.320 -0.274 -0.515
H 2.7299 0.6160 3.0818 -0.277 -0.197 0.450
```
Positions in Å, forces in eV/Å.


Here is a 2-piece molecular cluster, C3H11N2S overall in a non-equilibrium geometry from the OMol25 dataset. Energies are from wB97M-V/def2-TZVPD.

Spin multiplicity: 1
Total charge: -1
Frontier orbital gap, eV: 6.7294
E_HOMO, eV: -2.66

```
17
Properties=species:S:1:pos:R:3:forces:R:3
C 3.6073 0.8276 -0.5906 -0.431 -0.593 -0.171
N 2.8131 -0.3524 -0.2157 0.056 0.023 -0.534
H 3.5300 1.0624 -1.6582 -0.059 0.263 -0.039
H 4.6645 0.6595 -0.3907 0.104 0.116 0.287
H 3.2050 1.6510 -0.0103 0.263 0.302 0.004
H 1.8316 -0.1088 -0.4046 -0.125 0.063 0.521
H 2.9855 -1.0746 -0.9060 0.209 -0.227 0.051
C -2.5276 -0.6082 0.6909 -0.731 0.275 0.746
C -1.2644 0.0981 1.1463 0.559 0.713 -0.888
S -0.3815 0.8757 -0.3066 -0.207 -0.197 0.185
N -2.2166 -1.6293 -0.2837 0.140 -0.368 0.010
H -3.2340 0.1681 0.3520 0.201 0.021 -0.382
H -3.0678 -1.0574 1.5428 0.329 -0.181 0.047
H -0.5738 -0.5678 1.6627 -0.092 -0.159 0.060
H -1.4975 0.9501 1.7818 -0.232 -0.221 0.328
H -1.5858 -1.1871 -0.9464 0.093 0.012 -0.203
H -3.0313 -1.9748 -0.7715 -0.077 0.160 -0.024
```
Positions in Å, forces in eV/Å.


Here is a 2-piece molecular cluster, C3H11N2S overall in a non-equilibrium geometry from the OMol25 dataset. Energies are from wB97M-V/def2-TZVPD.

Spin multiplicity: 2
Frontier orbital gap (spin up / spin down), eV: 4.7868 / 9.6602
E_HOMO (spin up / spin down), eV: -3.86 / -8.88

```
17
Properties=species:S:1:pos:R:3:forces:R:3
C -3.6273 -0.7283 -0.9787 -1.216 -1.191 1.251
C -2.1677 -1.1197 -1.2197 -0.036 1.579 -1.557
S -1.3766 -1.1143 0.3912 0.523 0.130 -0.170
H -3.6985 0.3029 -0.5849 0.111 -0.439 -0.370
H -4.1052 -1.3977 -0.1356 0.919 1.103 -1.630
H -4.2704 -0.8357 -1.8747 0.448 0.120 0.443
H -1.9899 -2.0502 -1.7237 -0.530 -0.886 0.150
H -1.7187 -0.4137 -2.0105 -0.410 -0.399 1.612
H -0.1451 -1.2474 -0.1133 0.199 0.002 0.285
N 3.7143 0.5219 0.7798 2.925 -4.384 0.140
C 2.9096 1.5946 0.8770 2.739 -0.330 3.656
N 2.0912 2.0699 -0.0091 -4.022 1.505 -4.734
H 3.9070 -0.0849 -0.0368 -0.633 1.195 0.733
H 4.1527 0.0821 1.6475 -1.298 1.201 -1.748
H 2.9700 2.0310 1.8470 -0.290 0.621 0.252
H 1.6223 2.8923 0.2988 -0.371 0.289 -0.089
H 1.9742 1.9286 -1.0392 0.942 -0.115 1.777
```
Positions in Å, forces in eV/Å.


Here is a 2-piece molecular cluster, C3H11N2S overall in a non-equilibrium geometry from the OMol25 dataset. Energies are from wB97M-V/def2-TZVPD.

Spin multiplicity: 1
Total charge: +1
Frontier orbital gap, eV: 8.6694
E_HOMO, eV: -12.43

```
17
Properties=species:S:1:pos:R:3:forces:R:3
C -0.7134 -0.6260 1.6183 1.578 -1.862 -2.770
C 0.2423 0.5017 2.0620 -0.268 -2.686 -1.135
C 0.6200 1.0819 -0.3423 1.449 5.010 0.527
N 0.9380 2.0031 -1.2768 -0.079 -0.442 -0.856
N 0.6651 1.3559 0.9423 1.146 -0.224 -1.116
S -0.5189 -2.8203 -3.0198 -0.425 -0.964 -0.184
H -0.2271 -1.6368 1.5556 0.102 0.976 0.290
H -1.4897 -0.7929 2.2733 -1.687 0.097 1.730
H -1.1881 -0.6328 0.6041 0.310 0.905 0.724